File:
=====
! KY3F10 r2SCAN relaxed; values from VASP
&SYSTEM
  ibrav = 0, nat = 28, ntyp = 3
/
ATOMIC_SPECIES
F 19.00 F.upf
Y 88.91 Y.upf
K 39.10 K.upf
CELL_PARAMETERS angstrom
0.000 5.765 5.765
5.765 0.000 5.765
5.765 5.765 0.000
ATOMIC_POSITIONS crystal
F 0.168 0.500 0.500
F 0.336 0.888 0.888
F 0.500 0.832 0.500
F 0.500 0.168 0.832
F 0.888 0.888 0.888
F 0.112 0.664 0.112
F 0.888 0.336 0.888
F 0.664 0.112 0.112
F 0.112 0.112 0.112
F 0.168 0.832 0.500
F 0.168 0.500 0.832
F 0.500 0.168 0.500
F 0.500 0.832 0.168
F 0.832 0.500 0.500
F 0.888 0.888 0.336
F 0.500 0.500 0.832
F 0.832 0.168 0.500
F 0.832 0.500 0.168
F 0.500 0.500 0.168
F 0.112 0.112 0.664
Y 0.240 0.760 0.760
Y 0.240 0.760 0.240
Y 0.240 0.240 0.760
Y 0.760 0.240 0.760
Y 0.760 0.240 0.240
Y 0.760 0.760 0.240
K 0.750 0.750 0.750
K 0.250 0.250 0.250
! Calculated volume ... 191.6 Å³/f.u.

=====

! K3YF6 r2SCAN relaxed; values from VASP
&SYSTEM
  ibrav = 0, nat = 20, ntyp = 3
/
ATOMIC_SPECIES
F 19.00 F.upf
K 39.10 K.upf
Y 88.91 Y.upf
CELL_PARAMETERS angstrom
-1.694 -5.838 -1.586
6.202 -2.012 0.782
-1.615 -1.628 8.622
ATOMIC_POSITIONS crystal
F 0.219 0.322 0.550
F 0.781 0.678 0.450
F 0.171 0.268 0.924
F 0.719 0.178 0.050
F 0.120 0.063 0.226
F 0.329 0.768 0.576
F 0.829 0.732 0.076
F 0.671 0.232 0.424
F 0.380 0.563 0.274
F 0.281 0.822 0.950
F 0.620 0.437 0.726
F 0.880 0.937 0.774
K 0.500 0.500 0.000
K 0.519 0.944 0.243
K 0.019 0.556 0.743
K 0.981 0.444 0.257
K 0.000 0.000 0.500
K 0.481 0.056 0.757
Y 0.000 0.000 0.000
Y 0.500 0.500 0.500
! Calculated volume ... 184.0 Å³/f.u.

=====

! K2YF5 r2SCAN relaxed; values from VASP
&SYSTEM
  ibrav = 0, nat = 32, ntyp = 3
/
ATOMIC_SPECIES
F 19.00 F.upf
Y 88.91 Y.upf
K 39.10 K.upf
CELL_PARAMETERS angstrom
-4.072 -2.938 -4.199
4.592 -5.568 -0.557
-4.911 -4.867 8.168
ATOMIC_POSITIONS crystal
F 0.351 0.035 0.576
F 0.351 0.465 0.576
F 0.601 0.250 0.988
F 0.649 0.965 0.424
F 0.631 0.750 0.668
F 0.899 0.250 0.488
F 0.837 0.250 0.194
F 0.149 0.035 0.076
F 0.869 0.750 0.168
F 0.649 0.535 0.424
F 0.131 0.250 0.832
F 0.851 0.535 0.924
F 0.149 0.465 0.076
F 0.369 0.250 0.332
F 0.163 0.750 0.806
F 0.399 0.750 0.012
F 0.101 0.750 0.512
F 0.663 0.250 0.694
F 0.851 0.965 0.924
F 0.337 0.750 0.306
Y 0.565 0.250 0.497
Y 0.935 0.250 0.997
Y 0.435 0.750 0.503
Y 0.065 0.750 0.003
K 0.535 0.997 0.171
K 0.465 0.497 0.829
K 0.035 0.003 0.329
K 0.035 0.497 0.329
K 0.965 0.503 0.671
K 0.965 0.997 0.671
K 0.465 0.003 0.829
K 0.535 0.503 0.171
! Calculated volume ... 126.8 Å³/f.u.

=====

! K3YbF6 r2SCAN relaxed; values from VASP
&SYSTEM
  ibrav = 0, nat = 10, ntyp = 3
/
ATOMIC_SPECIES
K 39.10 K.upf
F 19.00 F.upf
Yb 173.04 Yb.upf
CELL_PARAMETERS angstrom
4.888 1.803 4.087
-0.013 -6.206 -2.309
-0.141 2.655 -6.065
ATOMIC_POSITIONS crystal
K 0.500 0.250 0.750
K 0.500 0.750 0.250
K 0.000 0.500 0.500
F 0.692 0.692 0.000
F 0.308 0.000 0.308
F 0.000 0.766 0.766
F 0.000 0.234 0.234
F 0.692 0.000 0.692
F 0.308 0.308 0.000
Yb 0.000 0.000 0.000
! Calculated volume ... 210.7 Å³/f.u.

=====

! K3YbF6 r2SCAN relaxed; values from VASP
&SYSTEM
  ibrav = 0, nat = 10, ntyp = 3
/
=====

To do:
Next, reproduce only the lines above with the word "KY3F10" in them.

Reply:
! KY3F10 r2SCAN relaxed; values from VASP